# Exercise
Now copy the whole of the block further below verbatim.
# Listing
Entry 1:
Simulated X-ray diffraction stick pattern of FeAuBr5 for Cu Kα X-rays, from a cell relaxed with GGA-PBE.

Top 8 peaks for 2θ from 15° to 90°, most intense first:
Position (°2θ)	intensity
20.0	100
28.9	67
20.9	67
24.4	56
36.5	41
38.8	38
37.6	34
32.5	32

Structural model:
```
data_FeAuBr5
_chemical_formula_sum 'Fe4 Au4 Br20'
_symmetry_space_group_name_H-M 'C 1 2/c 1'
_symmetry_Int_Tables_number 15
_cell_length_a 9.666
_cell_length_b 12.149
_cell_length_c 9.566
_cell_angle_alpha 90.00
_cell_angle_beta 118.59
_cell_angle_gamma 90.00
loop_
_symmetry_equiv_pos_as_xyz
'x,y,z'
'-x,-y,-z'
'-x,y,-z+1/2'
'x,-y,z+1/2'
'x+1/2,y+1/2,z'
'-x+1/2,-y+1/2,-z'
'-x+1/2,y+1/2,-z+1/2'
'x+1/2,-y+1/2,z+1/2'
loop_
_atom_site_label
_atom_site_fract_x
_atom_site_fract_y
_atom_site_fract_z
Fe1 0.000 0.109 0.250
Au1 0.000 0.500 0.000
Br1 0.000 0.416 0.750
Br2 0.010 0.214 0.456
Br3 0.201 0.033 0.842
```

---

Entry 2:
Simulated X-ray diffraction stick pattern of Rb3Ga2As2 for Cu Kα X-rays, from a cell relaxed with GGA-PBE.

Top 8 peaks for 2θ from 15° to 90°, most intense first:
Position (°2θ)	intensity
28.1	100
27.2	76
31.5	56
32.2	43
38.2	34
50.3	30
52.2	24
43.7	23

Structural model:
```
data_Rb3Ga2As2
_chemical_formula_sum 'Rb6 Ga4 As4'
_symmetry_space_group_name_H-M 'I m m m'
_symmetry_Int_Tables_number 71
_symmetry_space_group_name_Hall '-I 2 2'
_cell_length_a 4.145
_cell_length_b 5.674
_cell_length_c 20.053
_cell_angle_alpha 90.00
_cell_angle_beta 90.00
_cell_angle_gamma 90.00
loop_
_atom_site_label
_atom_site_fract_x
_atom_site_fract_y
_atom_site_fract_z
Rb1 0.000 0.000 0.000
Rb2 0.000 0.500 0.314
Ga1 0.000 0.000 0.439
As1 0.000 0.500 0.131
```

---

Entry 3:
Simulated X-ray diffraction stick pattern of YBeNF6 for Cu Kα X-rays, from a cell relaxed with GGA-PBE.

Top 8 peaks for 2θ from 15° to 90°, most intense first:
Position (°2θ)	intensity
19.9	100
28.0	39
40.5	38
27.8	19
47.1	17
47.3	17
21.1	17
26.3	14

Structural model:
```
data_YBeNF6
_chemical_formula_sum 'Y2 Be2 N2 F12'
_symmetry_space_group_name_H-M 'P 1 21/m 1'
_symmetry_Int_Tables_number 11
_cell_length_a 6.788
_cell_length_b 5.826
_cell_length_c 7.681
_cell_angle_alpha 90.00
_cell_angle_beta 115.48
_cell_angle_gamma 90.00
loop_
_symmetry_equiv_pos_as_xyz
'x,y,z'
'-x,-y,-z'
'-x,y+1/2,-z'
'x,-y+1/2,z'
loop_
_atom_site_label
_atom_site_fract_x
_atom_site_fract_y
_atom_site_fract_z
Y1 0.119 0.250 0.222
Be1 0.276 0.750 0.560
N1 0.410 0.750 0.110
F1 0.150 0.750 0.687
F2 0.180 0.547 0.028
F3 0.214 0.533 0.426
F4 0.474 0.250 0.308
```

---

Entry 4:
Simulated X-ray diffraction stick pattern of SrTbP2Pd4 for Cu Kα X-rays, from a cell relaxed with GGA-PBE.

Top 8 peaks for 2θ from 15° to 90°, most intense first:
Position (°2θ)	intensity
35.9	100
44.1	42
28.3	40
41.5	31
75.8	22
21.6	16
58.6	15
36.5	15

Structural model:
```
data_SrTbP2Pd4
_chemical_formula_sum 'Sr1 Tb1 P2 Pd4'
_symmetry_space_group_name_H-M 'P 4/m m m'
_symmetry_Int_Tables_number 123
_symmetry_space_group_name_Hall '-P 4 2'
_cell_length_a 4.106
_cell_length_b 4.106
_cell_length_c 9.839
_cell_angle_alpha 90.00
_cell_angle_beta 90.00
_cell_angle_gamma 90.00
loop_
_atom_site_label
_atom_site_fract_x
_atom_site_fract_y
_atom_site_fract_z
Sr1 0.000 0.000 0.000
Tb1 0.000 0.000 0.500
P1 0.500 0.500 0.167
Pd1 0.000 0.500 0.287
```

=====

Theoretical PXRD pattern
Compound: VSO4F3
Radiation: CuKα
Structure: the PBE+U geometry in the Materials Project
Lines closer than 0.1° are merged.

Crystal structure
abc: 10.642 8.207 7.185
angles: 90.00 90.00 90.00
Sites, in units of the cell vectors:
V 0.000 0.000 0.000
V 0.000 0.000 0.500
V 0.500 0.500 0.000
V 0.500 0.500 0.500
S 0.000 0.321 0.250
S 0.000 0.679 0.750
S 0.500 0.179 0.750
S 0.500 0.821 0.250
O 0.056 0.195 0.104
O 0.056 0.805 0.604
O 0.102 0.406 0.335
O 0.102 0.594 0.835
O 0.398 0.094 0.835
O 0.398 0.906 0.335
O 0.444 0.305 0.604
O 0.444 0.695 0.104
O 0.556 0.305 0.896
O 0.556 0.695 0.396
O 0.602 0.094 0.665
O 0.602 0.906 0.165
O 0.898 0.406 0.165
O 0.898 0.594 0.665
# Outcome
Entry 1:
Simulated X-ray diffraction stick pattern of FeAuBr5 for Cu Kα X-rays, from a cell relaxed with GGA-PBE.

Top 8 peaks for 2θ from 15° to 90°, most intense first:
Position (°2θ)	intensity
20.0	100
28.9	67
20.9	67
24.4	56
36.5	41
38.8	38
37.6	34
32.5	32

Structural model:
```
data_FeAuBr5
_chemical_formula_sum 'Fe4 Au4 Br20'
_symmetry_space_group_name_H-M 'C 1 2/c 1'
_symmetry_Int_Tables_number 15
_cell_length_a 9.666
_cell_length_b 12.149
_cell_length_c 9.566
_cell_angle_alpha 90.00
_cell_angle_beta 118.59
_cell_angle_gamma 90.00
loop_
_symmetry_equiv_pos_as_xyz
'x,y,z'
'-x,-y,-z'
'-x,y,-z+1/2'
'x,-y,z+1/2'
'x+1/2,y+1/2,z'
'-x+1/2,-y+1/2,-z'
'-x+1/2,y+1/2,-z+1/2'
'x+1/2,-y+1/2,z+1/2'
loop_
_atom_site_label
_atom_site_fract_x
_atom_site_fract_y
_atom_site_fract_z
Fe1 0.000 0.109 0.250
Au1 0.000 0.500 0.000
Br1 0.000 0.416 0.750
Br2 0.010 0.214 0.456
Br3 0.201 0.033 0.842
```

---

Entry 2:
Simulated X-ray diffraction stick pattern of Rb3Ga2As2 for Cu Kα X-rays, from a cell relaxed with GGA-PBE.

Top 8 peaks for 2θ from 15° to 90°, most intense first:
Position (°2θ)	intensity
28.1	100
27.2	76
31.5	56
32.2	43
38.2	34
50.3	30
52.2	24
43.7	23

Structural model:
```
data_Rb3Ga2As2
_chemical_formula_sum 'Rb6 Ga4 As4'
_symmetry_space_group_name_H-M 'I m m m'
_symmetry_Int_Tables_number 71
_symmetry_space_group_name_Hall '-I 2 2'
_cell_length_a 4.145
_cell_length_b 5.674
_cell_length_c 20.053
_cell_angle_alpha 90.00
_cell_angle_beta 90.00
_cell_angle_gamma 90.00
loop_
_atom_site_label
_atom_site_fract_x
_atom_site_fract_y
_atom_site_fract_z
Rb1 0.000 0.000 0.000
Rb2 0.000 0.500 0.314
Ga1 0.000 0.000 0.439
As1 0.000 0.500 0.131
```

---

Entry 3:
Simulated X-ray diffraction stick pattern of YBeNF6 for Cu Kα X-rays, from a cell relaxed with GGA-PBE.

Top 8 peaks for 2θ from 15° to 90°, most intense first:
Position (°2θ)	intensity
19.9	100
28.0	39
40.5	38
27.8	19
47.1	17
47.3	17
21.1	17
26.3	14

Structural model:
```
data_YBeNF6
_chemical_formula_sum 'Y2 Be2 N2 F12'
_symmetry_space_group_name_H-M 'P 1 21/m 1'
_symmetry_Int_Tables_number 11
_cell_length_a 6.788
_cell_length_b 5.826
_cell_length_c 7.681
_cell_angle_alpha 90.00
_cell_angle_beta 115.48
_cell_angle_gamma 90.00
loop_
_symmetry_equiv_pos_as_xyz
'x,y,z'
'-x,-y,-z'
'-x,y+1/2,-z'
'x,-y+1/2,z'
loop_
_atom_site_label
_atom_site_fract_x
_atom_site_fract_y
_atom_site_fract_z
Y1 0.119 0.250 0.222
Be1 0.276 0.750 0.560
N1 0.410 0.750 0.110
F1 0.150 0.750 0.687
F2 0.180 0.547 0.028
F3 0.214 0.533 0.426
F4 0.474 0.250 0.308
```

---

Entry 4:
Simulated X-ray diffraction stick pattern of SrTbP2Pd4 for Cu Kα X-rays, from a cell relaxed with GGA-PBE.

Top 8 peaks for 2θ from 15° to 90°, most intense first:
Position (°2θ)	intensity
35.9	100
44.1	42
28.3	40
41.5	31
75.8	22
21.6	16
58.6	15
36.5	15

Structural model:
```
data_SrTbP2Pd4
_chemical_formula_sum 'Sr1 Tb1 P2 Pd4'
_symmetry_space_group_name_H-M 'P 4/m m m'
_symmetry_Int_Tables_number 123
_symmetry_space_group_name_Hall '-P 4 2'
_cell_length_a 4.106
_cell_length_b 4.106
_cell_length_c 9.839
_cell_angle_alpha 90.00
_cell_angle_beta 90.00
_cell_angle_gamma 90.00
loop_
_atom_site_label
_atom_site_fract_x
_atom_site_fract_y
_atom_site_fract_z
Sr1 0.000 0.000 0.000
Tb1 0.000 0.000 0.500
P1 0.500 0.500 0.167
Pd1 0.000 0.500 0.287
```

=====

Theoretical PXRD pattern
Compound: VSO4F3
Radiation: CuKα
Structure: the PBE+U geometry in the Materials Project
Lines closer than 0.1° are merged.

Crystal structure
abc: 10.642 8.207 7.185
angles: 90.00 90.00 90.00
Sites, in units of the cell vectors:
V 0.000 0.000 0.000
V 0.000 0.000 0.500
V 0.500 0.500 0.000
V 0.500 0.500 0.500
S 0.000 0.321 0.250
S 0.000 0.679 0.750
S 0.500 0.179 0.750
S 0.500 0.821 0.250
O 0.056 0.195 0.104
O 0.056 0.805 0.604
O 0.102 0.406 0.335
O 0.102 0.594 0.835
O 0.398 0.094 0.835
O 0.398 0.906 0.335
O 0.444 0.305 0.604
O 0.444 0.695 0.104
O 0.556 0.305 0.896
O 0.556 0.695 0.396
O 0.602 0.094 0.665
O 0.602 0.906 0.165
O 0.898 0.406 0.165
O 0.898 0.594 0.665